Everyone read the Pennock article in Synthese

Like RBH said, the new special issue of Synthese is free for the moment. I would like to highlight one article in particular, Robert Pennock’s:

- - -
Diffraction record for PmHoEr5Tm2. The PXRD pattern is theoretical, not measured: it uses a DFT-relaxed cell (PBE, Alexandria) and Cu Kα X-rays.
Neutral-atom scattering factors, no anomalous dispersion.

a = 5.5474 Å, b = 19.6348 Å, c = 10.4701 Å
α = 90.00°, β = 90.00°, γ = 90.00°
Space group Cmc2_1 (No. 36)
One atom of each set of equivalent atoms:
Pm  0.0000  0.0843  0.0000 [4 per cell]
Ho  0.0000  0.3004  0.5608 [4 per cell]
Er  0.0000  0.0216  0.2851 [4 per cell]
Er  0.0000  0.1117  0.5713 [4 per cell]
Er  0.0000  0.2011  0.2582 [4 per cell]
Er  0.0000  0.2189  0.8604 [4 per cell]
Er  0.0000  0.4821  0.5732 [4 per cell]
Tm  0.0000  0.3869  0.8667 [4 per cell]
Tm  0.0000  0.3895  0.2847 [4 per cell]

Most intense lines, 10° ≤ 2θ ≤ 80°, by angle:
- hkl 0 6 1, 28.6°, intensity 19
- hkl 1 1 3, 30.6°, intensity 40
- hkl 2 0 0, 32.3°, intensity 43
- hkl 1 5 2, 32.8°, intensity 100
- hkl 0 0 4, 34.3°, intensity 12
- hkl 2 6 1, 43.6°, intensity 12
- hkl 0 6 5, 51.8°, intensity 12
- hkl 3 5 2, 57.9°, intensity 21
- hkl 1 11 3, 60.6°, intensity 14
- hkl 2 6 5, 62.4°, intensity 13
- - -

Robert T. Pennock (2009, 2011). Can’t philosophers tell the difference between science and religion?: Demarcation revisited. Synthese 178(2), 177-206. DOI: 10.1007/s11229-009-9547-3

Pennock reviews the debate over “demarcation” in philosophy of science, particularly what happened after the 1981 McLean v. Arkansas case. After that case, a fairly famous philosopher of science, Larry Laudan, criticized the court, and one of the experts who testified, Michael Ruse, for (allegedly) relying on naive and long-discredited attempts to “demarcate” science from pseudoscience and from religion. Laudan basically claimed that Ruse/McLean boiled down to Popperian falsificationism, that Popperian falsificationism was hopelessly wrong, and that the verdict and its supporters were guilty of philosophical crimes for even daring to make a distinction between science and pseudoscience, or between science and religion. Or something.

Laudan’s critique, but not the most effective contemporary response to it (from Barry Gross, another philosopher who consulted for the pro-evolution side in the case) was republished in the book But Is It Science? From there it was widely used in philosophy of science classes, and, I think, unduly influenced some in the next generation of philosophers of science – at least those without a sufficiently strong innate BS detector. Those who had a BS detector would have realized the obvious point that finding absolutely perfect philosophical criteria for defining science is a hard thing, but that this point is miles from establishing that there is any major, common difficulty in distinguishing science from pseudoscience or science from religion.

Nevertheless, creationists in the 1980s and throughout the subsequent ID era slavishly, uncritically, parrotted Laudan’s argument and quote every single time McLean or the definition of science came up. They used Laudan as their final argument in cross-examination against Pennock in the Kitzmiller trial. To their surprise, Laudan’s argument, though presented at trial, had no impact on the Court, probably because Courts distinguish science from pseudoscience all the time, and claiming that such distinctions can’t be rationally made is basically idiotic.

Despite all that, several other commentators raised the issue again in criticism of Pennock after the Kitzmiller decision, naively just assuming that Pennock did exactly what Ruse had done (which he definitely, and deliberately, did not), as if “there’s no distinction between science and pseudoscience or religion” was the mainstream philosophical position, and as if it was an obviously rational thing to believe – when what it really deserves is something like the Sokal Hoax treatment.

Anyway, Pennock’s article reviews the entire history of the situation, and actually looks carefully at all of the issues, at what Laudan missed back in 1982, and at what those who uncritically cite his critique of McLean in zombie-like fashion (google Laudan intelligent design to see what I mean) have missed since then. Here’s one of the money quotes:

If Laudan’s view were indeed the norm in philosophy of science, then it is little wonder that some say philosophy is irrelevant to any matters of practical consequence. Is philosophy going to be so removed from the realities of the world that it has nothing of value to say even on topics that ostensibly are its core concerns? It would be a sad commentary on our profession if philosophers could not recognize the difference between real science and a sectarian religious view masquerading as science. When squinting philosophers like Laudan, Quinn and their imitators such as Monton and George purport that there is no way to distinguish between science and pseudoscience or religion they bring to mind Hume’s observation that “Generally speaking, the errors in religion are dangerous; those in philosophy only ridiculous.” Unfortunately, in giving succor, inadvertently or not, to creation-science and now to ID, such philosophers compound the error, making the ridiculous dangerous.

(Note: Pennock’s essay was first published in the new 2009 edition of But Is It Science?, edited by Pennock & Ruse. Hopefully the new edition will be used in the next generation of philosophy of science classes.)

(HT John Pieret: Taking No Prisoners)